Another Don’t-Miss Article
Evie Gordon, in the Jerusalem Post, addresses the violence perpetrated by the teenage protesters at Amona.
One of the most troubling elements of the violence at Amona two weeks ago was the argument that rock-throwing teens used to justify their tactics: that the “establishment” – i.e. the government, courts, media and police – has so subverted the rules of the game that normal democratic politics have become pointless, whereas violence has proven to be effective. What makes these claims so troubling is that they contain a large element of truth.
Evie is always a good read and right far more often than not, at least in my opinion. In this case, I think she should have emphasized that violence is inexcusable, on whatever side. But her points about Israel’s frequent lack of democratic processes are perfectly accurate.
For two somewhat different but equally important perspectives, I highly reccomend the recently posted’
views of R Aharon Lichtenstein and R Shlomoh Riskin. Both condemn the violence and rhetoric on both
sides that led to Amona .
” think she should have emphasized that violence is inexcusable,
I agree 100%
on whatever side. But her points about Israel’s frequent lack of democratic processes are perfectly accurate
Is Israel anyless democratic than the US-so far Israel has not had a Supreme Court openly taking a one sided political stance in an election.
Steve: Do you have links to the articles of Rabbis Lichtenstein and
That’s the boldest justification for juvenile delinquency, ala Al Sharpton, that I’ve ever seen. According to Gordon,
“Thus when violence has paid off so handsomely for Palestinians and Israeli Arabs, is it surprising that settler teens hope it will work for them as well?”
So now our bright, well educated, Torah guided, youth are on the same level as the indoctrinated, morally depraved Palestinian terrorists? My answer to Gordon is, yes it is surprising! This is not the way we behave. This is not a kiddush Hashem.
Is Israel anyless democratic than the US-so far Israel has not had a Supreme Court openly taking a one sided political stance in an election.
Israel never had a disputed election that went up to the Supreme Court. Once the Supreme Court of the US got involved, it had to come out with a decision.
Israel has the concept of rule of majority, which is the basis of democracy. However, the concept of a limited government and individual rights that that government is not allowed to touch is a lot weaker than in the US.
Was Mycroft referring to the Florida Supreme Court in 2000? Then his statement about the US
might have been accurate. The US Supreme Court and the actual voters in 2000 saved us from
Al Gore, today’s unbalanced, seditious Saudi stooge.
At any rate, the phenomenon of elected officials abandoning their promises and platforms
after the election seems to exist everywhere, but to attempt to suppress the opposition
as in Israel is not common in the West.
Here’s a question for all you cerebral theoretical thinkers:
What do you do when an Orthodox old lady dies a natural death, and the Jerusalem Police show up to take to to Abu Kabir in order to dissect her body and prepare an autopsy report?
Do you:
1. Try to reason with the Police thugs, who couldn’t care less.
2. Contact a Government Ministry who couldn’t care less.
........
Entry 1:
# C44H81I4N3O13PS

A cluster of 10 separate species, C44H81I4N3O13PS in total in a non-equilibrium geometry (wB97M-V/def2-TZVPD, the OMol25 dataset).

Positions of all 147 atoms, in Å:
C1 1.4078 1.8652 -2.3848
C2 1.2569 0.3511 -2.9057
O1 0.3936 -0.3469 -1.9669
C3 1.0867 -1.3444 -1.1911
C4 0.2748 -2.7285 -1.3693
N1 -0.4639 -3.1826 -0.1483
C5 0.0310 -4.4721 0.4435
I1 -1.1110 -6.2430 -0.1660
C6 1.1210 -4.5870 1.3261
C7 1.5611 -5.9975 1.9565
I2 2.3019 -2.8696 1.9245
C8 -1.4940 -2.5316 0.3982
N2 -2.0534 -1.2942 -0.2152
C9 -2.6805 -1.4989 -1.5759
I3 -3.2969 -3.5591 -2.0628
C10 -2.8558 -0.4797 -2.5240
C11 -3.4869 -0.7311 -3.9864
I4 -2.2654 1.5840 -2.1190
C12 -3.3080 -1.0493 0.5738
O2 -4.0776 0.1171 0.3758
C13 -2.7577 -1.4680 2.0130
S1 -4.3545 -1.4200 3.0208
P1 -1.4227 -0.1952 2.5298
C14 -1.0945 -0.2533 4.3923
C15 -1.9746 1.5748 2.1915
N3 -2.2681 -2.8433 1.5975
C16 -1.5849 -3.2665 2.8532
C17 -1.8699 -4.8562 3.0211
O3 -1.0821 -5.6495 3.5477
O4 -3.1443 -5.3052 2.5579
H1 2.4307 2.2576 -2.6844
H2 0.5576 2.5224 -2.7811
H3 1.3359 1.9115 -1.2368
H4 0.6738 0.4034 -3.9008
H5 2.2354 -0.1723 -3.1490
H6 2.1744 -1.5116 -1.4737
H7 1.0900 -0.9764 -0.1011
H8 1.0585 -3.5175 -1.6643
H9 -0.3946 -2.6193 -2.2959
H10 2.2439 -6.5984 1.2771
H11 0.6299 -6.6369 2.1810
H12 2.0645 -5.8443 2.9769
H13 -2.6467 -0.9474 -4.7405
H14 -4.0384 0.2416 -4.2428
H15 -4.2692 -1.5521 -3.9996
H16 -4.0779 -1.8898 0.3738
H17 -5.0340 -0.0873 0.2641
H18 -4.6291 -0.0843 3.3398
H19 -0.9117 0.7812 4.8575
H20 -1.9699 -0.7081 4.9887
H21 -0.1722 -0.8776 4.6709
H22 -3.0998 1.6524 2.4389
H23 -1.8219 1.9186 1.1116
H24 -1.4634 2.2688 2.9516
H25 -0.4474 -3.0890 2.8404
H26 -1.9714 -2.8031 3.8134
H27 -3.1971 -5.2437 1.5789
C18 2.0491 6.4492 -0.1587
C19 1.0698 5.5322 -0.8399
O5 1.4277 4.4740 -1.3244
C20 -0.3690 5.9733 -0.8995
H28 3.0450 6.0033 -0.1917
H29 2.0793 7.4107 -0.6755
H30 1.7624 6.5891 0.8858
H31 -0.4471 6.9137 -1.4488
H32 -0.7636 6.0925 0.1117
H33 -0.9591 5.2147 -1.4186
C21 -4.6032 -2.2847 -8.7341
C22 -4.8828 -1.8763 -7.3125
O6 -4.3364 -0.9103 -6.8132
C23 -5.8652 -2.7099 -6.5326
H34 -3.8786 -1.5960 -9.1725
H35 -4.1853 -3.2934 -8.7558
H36 -5.5236 -2.2444 -9.3202
H37 -5.5031 -3.7375 -6.4569
H38 -6.8413 -2.6885 -7.0214
H39 -5.9691 -2.3001 -5.5258
C24 -7.2046 -2.9938 1.7526
C25 -7.2880 -2.7212 0.2752
O7 -6.9560 -1.6422 -0.1887
C26 -7.7948 -3.8292 -0.6079
H40 -6.8231 -2.1069 2.2582
H41 -8.1962 -3.2239 2.1479
H42 -6.5208 -3.8253 1.9379
H43 -8.8140 -4.0960 -0.3213
H44 -7.1393 -4.6988 -0.5261
H45 -7.8002 -3.4909 -1.6461
C27 5.0342 2.4469 -0.4775
C28 5.2593 1.0278 -0.9292
O8 4.7080 0.5817 -1.9193
C29 6.1883 0.1773 -0.1120
H46 4.3401 2.9396 -1.1621
H47 4.6009 2.4536 0.5248
H48 5.9796 2.9934 -0.4841
H49 5.8014 0.0834 0.9056
H50 7.1880 0.6155 -0.0984
H51 6.2500 -0.8182 -0.5568
C30 10.4524 -0.5329 -2.3028
C31 9.8969 -0.7792 -0.9257
O9 9.0694 -0.0336 -0.4350
C32 10.4044 -1.9836 -0.1789
H52 9.9975 0.3674 -2.7208
H53 11.5329 -0.3856 -2.2468
H54 10.2194 -1.3777 -2.9542
H55 11.4827 -1.9006 -0.0288
........
3. Assemble 500 people to block the Police physically from desecrating the body ating the body and (according to our tradition) causing unbearable pain to the deceased.
This incident happened this week. Zaka (the Israeli hatzala group) arrived and tried options 1 and 2, with no effect. When 500 people arrived, determined to protect the Niftar with their bodies, if necessary, the Police realized that another Amona incident was in the offing and finally, relented.
In an oligarchy, like Israel, direct action is, sometimes, the only recouse.
Israelies no longer pray for Shloma shel Malchut. They no longer have Mora (= awe) of the government. How long until they start swallowing each other? Not that I know any other way to fix the Israeli government.
_Records of molecules from another source follow_
/*
DFT (ωB97M-V/def2-TZVPD) results for C18H22F6IrN3O10S2 as an isolated structure at a distorted geometry.

* ΔE to the lowest compared entry with this formula, charge and spin: 265.1 kJ/mol
* frontier orbital gap: 7.6 eV
* LUMO level: -0.02462 hartree

CARTESIAN COORDINATES (ANGSTROEM)
1 Ir 0.25 0.73 -0.47
2 C 2.95 -5.48 0.98
3 O 1.56 -5.70 0.76
4 C 0.82 -4.67 0.30
5 C -0.54 -4.96 0.08
6 C -1.35 -3.97 -0.39
7 C -0.88 -2.66 -0.64
8 C -1.75 -1.65 -1.19
9 C -3.14 -2.00 -1.63
10 O -1.40 -0.47 -1.32
11 C 0.48 -2.39 -0.42
12 O 1.04 -1.23 -0.69
13 C 1.32 -3.41 0.05
14 H 3.35 -6.42 1.33
15 H 3.10 -4.71 1.74
16 H 3.45 -5.18 0.06
17 H -0.90 -5.96 0.27
18 H -2.40 -4.20 -0.57
19 H -3.70 -2.46 -0.82
20 H -3.11 -2.70 -2.47
21 H -3.64 -1.09 -1.96
22 H 2.36 -3.15 0.21
23 C 3.72 2.23 -2.43
24 C 2.56 1.94 -1.54
25 N 1.80 0.90 -1.68
26 O 2.07 0.01 -2.68
27 C 2.23 2.74 -0.40
28 C 2.96 3.96 0.03
29 N 1.22 2.26 0.30
30 O 0.78 2.78 1.35
31 H 3.78 1.52 -3.24
32 H 4.64 2.21 -1.85
33 H 3.61 3.24 -2.84
34 H 1.71 -0.81 -2.27
35 H 3.92 3.71 0.50
36 H 2.36 4.50 0.76
37 H 3.16 4.62 -0.81
38 F -1.50 4.47 0.79
39 C -2.22 3.46 1.24
40 F -3.49 3.85 1.37
41 F -1.79 3.07 2.43
42 S -2.12 2.01 0.02
43 O -1.10 2.33 -1.02
44 O -1.55 0.93 0.84
45 N -3.56 1.79 -0.38
46 S -4.25 1.91 -1.83
47 O -5.65 1.76 -1.64
48 O -3.56 1.16 -2.83
49 C -4.00 3.69 -2.34
*/
“Once the Supreme Court of the US got involved, it had to come out with a decision”
If one had asked in a law school exam a hypothetyical like the 2000 election-in 1999-99.99% of people would have answered the Supreme Court would have not taken the question-either as a political question-or stated it is the duty of the states to determine how their electors are picked. or Cpongress as a political body would have decided the issue.
**Someone pasted molecular data at this point:**
~~~
a.
The following is a quantum chemistry calculation of a cluster of 2 separate species, C2H7N4O in total, from OMol25.

HOMO energy   -14.60 eV
Total charge   +1
Frontier orbital gap   10.713 eV
Multiplicity   1

Geometry (Å):
1 C -1.29 0.99 0.15
2 C -1.74 -1.40 -0.47
3 N 2.72 0.21 0.58
4 N -1.59 2.00 0.67
5 N 1.84 0.02 -0.31
6 N -0.91 -0.13 -0.18
7 O 3.87 0.56 0.35
8 H -1.31 -2.20 -1.20
9 H -2.61 -1.06 -1.07
10 H -1.77 -1.87 0.49
11 H 2.48 -0.05 1.59
12 H -2.12 2.85 0.84
13 H 2.27 0.30 -1.15
14 H 0.15 -0.22 -0.29

b.
The following is a quantum chemistry calculation of a structure of composition C2H7N4O, from OMol25.

HOMO energy   -14.26 eV
Total charge   +1
Frontier orbital gap   9.645 eV
Multiplicity   1

Geometry (Å):
1 C -0.20 1.11 -0.17
2 C 1.21 1.25 0.06
3 N -1.07 2.00 -0.27
4 N -0.55 -0.27 -0.45
5 N -1.49 -1.00 -0.22
6 N 1.22 -0.97 -0.20
7 O 1.97 0.22 -0.38
8 H 1.57 2.19 -0.35
9 H 1.31 1.60 1.07
10 H -2.03 2.00 -0.34
11 H -2.13 -1.27 0.58
12 H -1.87 -1.67 -0.91
13 H 1.54 -1.34 0.78
14 H 1.32 -1.63 -0.94

Stability ranking, top entry: a; the second entry is 1.688 eV less favorable.

a.
The following is a quantum chemistry calculation of the ion C2H7N4O with charge +1, from OMol25.

HOMO energy   -14.43 eV
Total charge   +1
Frontier orbital gap   10.306 eV
Structure (SMILES)   NC(=O)C=[N+](N)N
Multiplicity   1

Geometry (Å):
1 N 1.63 -1.04 1.86
2 C 0.52 -1.36 1.19
3 O -0.30 -2.18 1.34
4 C 0.51 -0.09 -0.14
5 N -0.58 0.27 -0.66
6 N -1.71 -0.40 -0.55
7 N -0.71 1.43 -1.35
8 H 2.12 -0.16 1.71
9 H 1.76 -1.44 2.76
10 H 1.43 0.47 -0.07
11 H -2.49 0.00 -1.10
12 H -1.75 -1.41 -0.20
13 H -1.43 1.61 -2.10
14 H 0.24 1.83 -1.51

b.
The following is a quantum chemistry calculation of a structure of composition C2H7N4O, from OMol25.

HOMO energy (spin up / spin down)   -13.19 / -13.19 eV
Total charge   +1
Frontier orbital gap (spin up / spin down)   7.578 / 7.577 eV
Multiplicity   1

Geometry (Å):
1 C -1.37 0.88 0.25
2 C -0.53 -0.40 -0.25
3 N -0.21 1.13 -1.96
4 N 0.29 0.19 -1.25
5 N 0.15 -1.07 0.82
6 N 1.47 -0.71 1.14
7 O -1.42 1.81 -0.49
8 H -1.71 0.57 1.21
9 H -1.57 -1.22 -0.78
10 H 0.47 1.80 -2.22
11 H -0.14 -1.96 1.15
12 H 1.74 -1.50 1.71
13 H 1.28 0.33 -1.01
14 H 1.55 0.14 1.68

Stability ranking, top entry: a; the second entry is 2.788 eV less favorable.

a.
The following is a quantum chemistry calculation of a cluster of 3 separate species, C6H16O in total, from OMol25.

HOMO energy   -8.84 eV
Frontier orbital gap   9.775 eV
Structure (SMILES)   C=C(C)C.CO.C
Multiplicity   1

Geometry (Å):
1 C -0.60 -1.02 1.05
2 C 0.55 -0.31 1.17
3 C 1.90 -0.96 1.22
4 C 0.53 1.18 1.35
5 H -0.57 -2.09 1.11
6 H -1.52 -0.59 1.41
7 H 1.83 -2.03 1.04
8 H 2.58 -0.51 0.51
9 H 2.33 -0.82 2.21
10 H -0.43 1.60 1.04
11 H 0.67 1.43 2.41
12 H 1.33 1.65 0.78
13 C -2.06 0.54 -1.25
14 O -2.70 1.36 -0.29
15 H -1.47 -0.31 -0.59
16 H -1.52 1.24 -1.90
17 H -2.79 0.05 -1.90
18 H -3.26 0.80 0.26
19 C 1.06 -0.23 -1.91
20 H 0.71 -0.21 -2.93
21 H 0.95 -1.25 -1.53
22 H 2.11 0.04 -1.88
~~~
‘actual voters in 2000 ‘
No one seriously believes that more voters voted for Gore in 2000 than GWB-the question of Florida is tricky-according to everyone more people went to the polls in Florida intending to vote for Gore-the butterfly ballot where Buchanan and Gore got a lot of joint votes compared to Bush and Buchanan doomed Gore. Still if the votes were actually let to count-depending on the standard either Bush or Gore won. See results of consortium that the WSJ was involved in-why not more notice paid to if the votes were counted in Florida according to many standards including the one that Bush was arguing for Gore would have won-9/11 the results came just after 9/11 and we believed we were at war against rerorism and it would have sounded seditious to claim Bush didn’t win.
I personally am happy Gore didn’t become Pres.-it would have meant Lieberman as VP-not good for Jews to have Jew -and a somewhat traditional one at that as VP.
” However, the concept of a limited government and individual rights that that government is not allowed to touch is a lot weaker than in the US.”
Israel has always faced an existential challenge to its existence-see how civil liberties are affected in
GWB’s regime “fighting” terrorism.
Mykroft-RAL’s essay is available from the Virtual Beis Medrash. R Riskin’s is in this week’s Jewish Week.
Why do you put “fighting” in quotes? Is it not somewhat obvious that a trade-off needs to be made between monitoring international communications and privacy rights? I, for one, am extremely thankful that we have a President who knows good from evil.
To Ori Pomerantz:
Which Israelis no longer pray for “shloma shel malchut?” That’s a pretty general and unproven declaration. I assume you refer to “Tfila L”shlom Hamedina?” If so, Israeli’s don’t say it at all. Those who identify with the tefilah stand while it is recited by the shat”z. Those who don’t identify remained seated in quiet protest (perhaps 1-2% of those present where I daven). (In my shul, we had a baal tefilah who began singing it in nigun echah after the Oslo accords were signed.) Though I have many issues with my government, I remain standing. This, because the tefila is, among other things, a supplication to Hashem that he will guide our leaders in good counsel and towards wise decisions. I submit that we need the tefila moreso every day. The fact that our leaders are greatly misguided does not grant us a ptur from asking Hashem to fix their priorities. Have we ever stopped saying the mi-sheberach l’cholim when are prayers were not answered? The medina is ill, very ill, in fact, and needs every tefilah we can conjure.
The optimum prayer on this topic is for the restoration of Malchut Beit David, not merely for the placement of better officials inside the current system.
David Litke,
Yes, it’s a generalization, not meant specifically about you or anybody else. Maybe I shouldn’t have used the word prayer either, because I didn’t just mean religious Israelis. It just seems to me, living here in the US, that most Israelis of my generation do not consider the state of Israel, as imperfect as it is, as a blessing, but rather as something that restricts them – in contrast with our parents and grandparents.
Note: I’m a libertarian, I think that we’d be able to live much better with a lot less government – but some government is required.
As you can see from Hillel above, Mor’ah Shel Malchut is also going away. If the solution to a problem, such as Abu Kabir wanting to do an autopsy, is direct action, then how far is Israel from having direct action to solve other problems, such as returning stolen items, solving contract disputes, or deciding the level of religious observance required in public? This is commonly called Anarchy, which has a bad track record in countries as densely populated as Israel.
To Bob Miller:
Good that you mention Malchut Beit David, because this, too, appears in the Tfila L’shlom Hamedina (“ushlach lanu ben David Mashiach tzidkecha”).
I’m suggesting that the theme of Malchut Beit David be the primary or only emphasis, not just tagged on at the end. If we need to refer to the current management team, which is (we hope) the Final Obstacle to Our Redemption, I’d suggest something like the prayer for the Czar from Fiddler on the Roof.